_Given_
+++
one) DFT (PBE-GGA) results for an optimized crystal structure of SrMgSbI2.

The calculated volume comes out at 52.914 Å³/atom. As for the total magnetic moment: 1.592 μB per formula unit. Its density of states at the Fermi level is 2.39 states/eV/cell.

The structure belongs to space group P4/mmm (No. 123); the cell edges are 6.268, 6.268 and 6.734 Å and the angles 90.00°, 90.00° and 90.00°. The distinct sites, in fractional coordinates, are Sr at (0.000, 0.000, 0.000), Mg at (0.500, 0.500, 0.500), Sb at (0.000, 0.000, 0.500) and I at (0.000, 0.500, 0.000).

=====

two) DFT (PBE-GGA) results for an optimized crystal structure of SrMgSbI2.

The calculated volume comes out at 37.092 Å³/atom. As for the total magnetic moment: 0.724 μB per formula unit. Its density of states at the Fermi level is 4.43 states/eV/cell.

The structure belongs to space group P4/mmm (No. 123); the cell edges are 5.709, 5.709 and 5.690 Å and the angles 90.00°, 90.00° and 90.00°. The distinct sites, in fractional coordinates, are Sr at (0.000, 0.000, 0.000), Mg at (0.500, 0.500, 0.500), Sb at (0.500, 0.500, 0.000) and I at (0.000, 0.500, 0.500).

=====

Which structure is the most stable? The one labeled two).

=====

one) DFT (PBE-GGA) results for an optimized crystal structure of MgTaSb2I.

The calculated volume comes out at 33.158 Å³/atom. As for the total magnetic moment: 0.000 μB per formula unit. Its density of states at the Fermi level is 2.67 states/eV/cell.

The structure belongs to space group P4/mmm (No. 123); the cell edges are 5.347, 5.347 and 5.798 Å and the angles 90.00°, 90.00° and 90.00°. The distinct sites, in fractional coordinates, are Mg at (0.000, 0.000, 0.000), Ta at (0.500, 0.500, 0.500), Sb at (0.000, 0.500, 0.500) and I at (0.500, 0.500, 0.000).

=====

two) DFT (PBE-GGA) results for an optimized crystal structure of MgTaSb2I.

The calculated volume comes out at 29.686 Å³/atom. As for the total magnetic moment: 0.001 μB per formula unit. Its density of states at the Fermi level is 8.74 states/eV/cell.

The structure belongs to space group P4/mmm (No. 123); the cell edges are 5.267, 5.267 and 5.350 Å and the angles 90.00°, 90.00° and 90.00°. The distinct sites, in fractional coordinates, are Mg at (0.000, 0.000, 0.000), Ta at (0.500, 0.500, 0.500), Sb at (0.000, 0.500, 0.000) and I at (0.000, 0.000, 0.500).

=====

Which structure is the most stable? The one labeled one).

=====

A plane-wave DFT calculation with PBE was carried out for crystalline CaGaCuF6 at its relaxed geometry.

Uncorrected formation energy, eV per atom: -2.656
ρ, Mg/m³: 3.85
Crystal system: tetragonal
Magnetization, μB per atom: 0.01
Fermi-level density of states, states/eV per cell: 3.4

Cell lengths 4.992, 4.992, 9.951 Å; angles 90.00, 90.00, 90.00 degrees
Space group P4_2nm (No. 102)
Asymmetric unit:
Ca1 0.000 0.000 0.000
Ga1 0.000 0.000 0.664
Cu1 0.000 0.000 0.327
F1 0.184 0.184 0.520
F2 0.187 0.187 0.808
F3 0.228 0.228 0.162
+++

_Assignment_
Please echo the whole of the calculation results earlier on unchanged.

_Worked solution_
one) DFT (PBE-GGA) results for an optimized crystal structure of SrMgSbI2.

The calculated volume comes out at 52.914 Å³/atom. As for the total magnetic moment: 1.592 μB per formula unit. Its density of states at the Fermi level is 2.39 states/eV/cell.

The structure belongs to space group P4/mmm (No. 123); the cell edges are 6.268, 6.268 and 6.734 Å and the angles 90.00°, 90.00° and 90.00°. The distinct sites, in fractional coordinates, are Sr at (0.000, 0.000, 0.000), Mg at (0.500, 0.500, 0.500), Sb at (0.000, 0.000, 0.500) and I at (0.000, 0.500, 0.000).

=====

two) DFT (PBE-GGA) results for an optimized crystal structure of SrMgSbI2.

The calculated volume comes out at 37.092 Å³/atom. As for the total magnetic moment: 0.724 μB per formula unit. Its density of states at the Fermi level is 4.43 states/eV/cell.

The structure belongs to space group P4/mmm (No. 123); the cell edges are 5.709, 5.709 and 5.690 Å and the angles 90.00°, 90.00° and 90.00°. The distinct sites, in fractional coordinates, are Sr at (0.000, 0.000, 0.000), Mg at (0.500, 0.500, 0.500), Sb at (0.500, 0.500, 0.000) and I at (0.000, 0.500, 0.500).

=====

Which structure is the most stable? The one labeled two).

=====

one) DFT (PBE-GGA) results for an optimized crystal structure of MgTaSb2I.

The calculated volume comes out at 33.158 Å³/atom. As for the total magnetic moment: 0.000 μB per formula unit. Its density of states at the Fermi level is 2.67 states/eV/cell.

The structure belongs to space group P4/mmm (No. 123); the cell edges are 5.347, 5.347 and 5.798 Å and the angles 90.00°, 90.00° and 90.00°. The distinct sites, in fractional coordinates, are Mg at (0.000, 0.000, 0.000), Ta at (0.500, 0.500, 0.500), Sb at (0.000, 0.500, 0.500) and I at (0.500, 0.500, 0.000).

=====

two) DFT (PBE-GGA) results for an optimized crystal structure of MgTaSb2I.

The calculated volume comes out at 29.686 Å³/atom. As for the total magnetic moment: 0.001 μB per formula unit. Its density of states at the Fermi level is 8.74 states/eV/cell.

The structure belongs to space group P4/mmm (No. 123); the cell edges are 5.267, 5.267 and 5.350 Å and the angles 90.00°, 90.00° and 90.00°. The distinct sites, in fractional coordinates, are Mg at (0.000, 0.000, 0.000), Ta at (0.500, 0.500, 0.500), Sb at (0.000, 0.500, 0.000) and I at (0.000, 0.000, 0.500).

=====

Which structure is the most stable? The one labeled one).

=====

A plane-wave DFT calculation with PBE was carried out for crystalline CaGaCuF6 at its relaxed geometry.

Uncorrected formation energy, eV per atom: -2.656
ρ, Mg/m³: 3.85
Crystal system: tetragonal
Magnetization, μB per atom: 0.01
Fermi-level density of states, states/eV per cell: 3.4

Cell lengths 4.992, 4.992, 9.951 Å; angles 90.00, 90.00, 90.00 degrees
Space group P4_2nm (No. 102)
Asymmetric unit:
Ca1 0.000 0.000 0.000
Ga1 0.000 0.000 0.664
Cu1 0.000 0.000 0.327
F1 0.184 0.184 0.520
F2 0.187 0.187 0.808
F3 0.228 0.228 0.162